SEN 2021
- Details
- Category: Archive 2015
- Hits: 1699
- Kommunication is King on C RDT
- Remote Dethernalization of F1C Models - Kaynes
- Further RDT Clarification - Etherington
- Allards F1C reply
- Dino on SEN 2020
- Should we really be talking about RECO - Schlosberg
- Marty Thompson
- F1C Aussie style
Kommunication is King on C RDT
In this issue we have 3 important posting on the RDT for F1C
Firstly a message from Ian Kaynes that explains the cuurent rule and the new rule.
As Ian notes there was quite a lot of confusion around this. Clearly many people thought the rule was 'worse' than it is.
Secondly Chuck Etherington, the USA person on the FFTSC goes into some detail on how and when RDT might be used. Chuck shows that in spite of what some people thought the FFTSC is aware of many of the issues surrounding RDT and F1C.
Thirdly the posting from Aram defines a new term RECO - remote engine cut of and shows how it different from RDT. Ian and Chuck's posting also make this distinction but the do not call it out as clearly as Aram does.
Remote dethermalisation of F1C models
From: Ian Kaynes
To: 'Walter Ghio'
[Explanation - Walt Ghio requested Ian Kaynes to share details of the outcome of the CIAM meeting about RDT. Ian had previously answered some of these questions in a private email to Henning . Note that the official minutes have not come out yet. So here is Ian's explanation with time lines. This clarifies a number of points]
Yes, of course. It is probably worth adding a bit of explanation to help
stop the usual misunderstandings, making a possible insertion:
The proposal from Austria modified just the single sentence taken out of the
F1C characteristics paragraph on RDT. The remaining words about RDT stay the
The current rule reads:
F1C models may use radio control only for irreversible actions to control
dethermalisation of the model. This may include stopping the motor if it is still running. Any
**Next to the text, the page also holds crystal structures**
<<<
# MnC2O6, optimized geometry, DFT PBE+U
# - spin magnetization (Bohr magnetons per cell) = 12.00
# - energy relative to the lowest polymorph listed for this composition (meV/atom) = 429
# - E_form (meV/atom) = -1285
data_MnC2O6
_cell_length_a 10.691
_cell_length_b 6.853
_cell_length_c 11.676
_cell_angle_alpha 90.00
_cell_angle_beta 117.01
_cell_angle_gamma 90.00
_space_group_name_H-M_alt 'C 1 2/c 1'
_space_group_IT_number 15
loop_
_space_group_symop_operation_xyz
'x,y,z'
'-x,-y,-z'
'-x,y,-z+1/2'
'x,-y,z+1/2'
'x+1/2,y+1/2,z'
'-x+1/2,-y+1/2,-z'
'-x+1/2,y+1/2,-z+1/2'
'x+1/2,-y+1/2,z+1/2'
loop_
_atom_site_label
_atom_site_type_symbol
_atom_site_fract_x
_atom_site_fract_y
_atom_site_fract_z
Mn1 Mn 0.000 0.171 0.250
C1 C 0.085 0.327 0.922
O1 O 0.084 0.499 0.922
O2 O 0.088 0.156 0.922
O3 O 0.157 0.178 0.246

***

# MnC2O6, optimized geometry, DFT PBE+U
# - spin magnetization (Bohr magnetons per cell) = 4.00
# - energy relative to the lowest polymorph listed for this composition (meV/atom) = 519
# - E_form (meV/atom) = -1194
data_MnC2O6
_cell_length_a 5.689
_cell_length_b 5.841
_cell_length_c 16.443
_cell_angle_alpha 90.00
_cell_angle_beta 90.00
_cell_angle_gamma 90.00
_space_group_name_H-M_alt 'P 21 21 21'
_space_group_IT_number 19
loop_
_space_group_symop_operation_xyz
'x,y,z'
'-x+1/2,-y,z+1/2'
'x+1/2,-y+1/2,-z'
'-x,y+1/2,-z+1/2'
loop_
_atom_site_label
_atom_site_type_symbol
_atom_site_fract_x
_atom_site_fract_y
_atom_site_fract_z
Mn1 Mn 0.082 0.163 0.394
C1 C 0.054 0.360 0.650
C2 C 0.091 0.887 0.771
O1 O 0.009 0.894 0.703
O2 O 0.046 0.972 0.463
O3 O 0.054 0.427 0.418
O4 O 0.066 0.833 0.914
O5 O 0.181 0.100 0.288
O6 O 0.226 0.629 0.158

***

# MnCO3, optimized geometry, DFT PBE+U
# - E_form (meV/atom) = -2013
data_MnCO3
_cell_length_a 8.377
_cell_length_b 4.836
_cell_length_c 5.990
_cell_angle_alpha 90.00
_cell_angle_beta 117.88
_cell_angle_gamma 90.00
_space_group_name_H-M_alt 'C 1 c 1'
_space_group_IT_number 9
loop_
_space_group_symop_operation_xyz
'x,y,z'
'x,-y,z+1/2'
'x+1/2,y+1/2,z'
'x+1/2,-y+1/2,z+1/2'
loop_
_atom_site_label
_atom_site_type_symbol
_atom_site_fract_x
_atom_site_fract_y
_atom_site_fract_z
Mn1 Mn 0.000 0.250 0.000
C1 C 0.250 0.249 0.750
O1 O 0.115 0.114 0.750
O2 O 0.250 0.483 0.251
O3 O 0.383 0.115 0.749

***

# MnC2O6, optimized geometry, DFT PBE+U
# - spin magnetization (Bohr magnetons per cell) = 6.00
# - energy relative to the lowest polymorph listed for this composition (meV/atom) = 27
# - E_form (meV/atom) = -1686
data_MnC2O6
_cell_length_a 5.273
_cell_length_b 7.380
_cell_length_c 6.849
_cell_angle_alpha 90.00
_cell_angle_beta 114.01
_cell_angle_gamma 90.00
_space_group_name_H-M_alt 'P 1 21/c 1'
_space_group_IT_number 14
loop_
_space_group_symop_operation_xyz
'x,y,z'
'-x,-y,-z'
'-x,y+1/2,-z+1/2'
'x,-y+1/2,z+1/2'
loop_
_atom_site_label
_atom_site_type_symbol
_atom_site_fract_x
_atom_site_fract_y
_atom_site_fract_z
Mn1 Mn 0.000 0.000 0.000
C1 C 0.118 0.235 0.361
O1 O 0.110 0.750 0.109
O2 O 0.187 0.093 0.287
>>>
**So much for the crystal structures**
malfunction or unintended operation of these functions is entirely at the risk of the competitor.
And from January 2016 it will be
F1C models must be fitted with functional radio control only for
irreversible actions to control dethermalisation of the model. This may
include stopping the motor if it is still running. Any malfunction or
unintended operation of these functions is entirely at the risk of the
And this means that the REQUIREMENT is to have radio DT. It remains an
OPTION to have it stop the motor. There is no requirement on when it is or
is not used, specifically no requirement to use the DT at any time when the
model is flying faster than glide speed.
Further F1C RDT Clarification
From: Chuck Etherington
You are correct. In the technical meeting the Austrian proposal was changed to read: “F1C models must be fitted with functional radio control only for irreversible actions to control dethermalisation of the model." Motor shutoff is not mandatory and actually using the RDT is also not mandatory. The thinking was that if it’s available on F1C models, the flyer can use it at his discretion. The problem is that his opportunity to use RDT safely is extremely limited prior to the glide phase.
With non-folding F1Cs, there is a critical velocity below which RDT will provide more safety for those on the ground, and above which RDT will provide less safety. The defining speed is that which causes the wings to come off turning the model into a more dangerous ballistic spear. Below are a couple of different scenarios:
1. Models fitted with mechanical timers (no motor shutoff):
A) DTing mechanical models before reaching the glide phase is difficult (because no single line can be released to allow DT). By the time a model is gliding, the safety issue has passed. Although useful for the remainder of the flight, it will not enhance safety.
B) Even if there was a way to DT it prior to glide, the model would be in climb or transition mode and be above the critical speed. At no time prior to going to the glide phase would the model be going slow enough to DT safely. DTing it would fold the wings and turn the model into a corkscrewing ballistic spear.
2. Models fitted with electronic timers:
A) The engines can be shut off ahead of the activation of RDT but it is only useful if the model is still pointing up. If the model has gone off pattern there is little opportunity for the model to slow below the critical speed, and the flyer has to decide whether to fold the wings and turn it into a ballistic spear or let it crash with the wings on.
My feeling is that the rule will mandate that flyers have the ability to separate the wings from their model during the climb and transition phase which, rather than increasing safety, will actually decrease it.
Allards F1c reply
From: John Cuthbert
Allard appears to miss my point entirely. His original opening statement said Quote "Flappers and folders have less drag than conventional ships" Somewhat obvious. He then follows this by saying Quote " The acceleration and speed in the first 2 seconds is almost identical" No it is not. Simple physics: less drag -higher acceleration and speed. More drag- just the opposite. So performance in first 2 seconds is significantly different.
My reason for introducing comparisons between geared and non geared engines was to highlight the difference between how the two engines deliver their power and hence perform. It is still clearly possible to win with a geared, conventional fixed wing model. Reference Peter Watson's World Champs win in 2011 against the original and most winning folder i.e. Leonid Fuzeev's. What I do believe is that a straight drive, fixed wing model on 4 secs. has no chance now because of the reasons I highlighted in my first response. This is why this rule is so damaging. It does not equal things up, it drives them further apart resulting in lost participation I'm afraid. Which we CANNOT, CANNOT afford.
Regards, John Cuthbert.
Dino on SEN 2020
From: michael achterberg
It is what it is.
We are throwing geared into the argument. Eugene produced the flappers. They are all geared. The folders are produced by Artum and they are all direct drive. Fixed wing are a combo of both.
We are comparing what the F1c community flies.. Geared fixed wings get higher, but glide worst. By the time they reach ground its pretty much a push.
But in either case the time it takes for them to reach terminal velocity verses the other two options they are affected more by 4 sec than the other two options.
Not that they were really viable options to win anymore anyway. But as a stepping stone to get people involved in the event they had value. With 4 sec the value is greatly reduced. Why even try and invest with zero chance of being competitive?
This is a multi faceted issue. Does the CIAM want to eliminate this lower cost, basically entry level option from new flyers and old flyers from the event?
That is why I was proposing a .5 sec more engine run for fixed wing direct drive models verses flappers, which are all geared and folders which are almost all direct drive.
I have both, and like the idea of balancing the field so to speak. But there has been little discussion on this idea, so I will bow out and let the flying community decide what they prefer. But in my opinion a flat 4 sec will kill the event and only real option is the folder.
Michael Achterberg
Should we really be talking about RECO?
From: Aram Schlosberg
Literally, RDT (remote/radio dethermalization) means that an irreversible change in a
model (popping up the stab) triggered by a radio signal. It causes the model to switch
from a gliding/climbing mode to a dethermilizing mode. RDT is optional. In practice,
models are RDTed to prevent models getting off the field, hitting hazards or to save
them in bad launches.
F1C can be prone to dangerous climb patterns, and if the model crashes under power it
can cause serious collateral damage. Cutting off the engine as soon as the model
seriously veers off course is the critical step in reducing such hazards. To be effective,
the cutoff should be done before the model is diving under full power. So we are really
talking about a Remote Engine Cut Off, or RECO.
For C models, RECO and RDT are different functions. If a RECO is performed on a C
model and it lands under 20 seconds, with or without a RDT (meaning popping up the
stab), the flier is granted an attempt. I’m surmising that CIAM intended to mandate
RECO for C models, not RDT (stab popping).
In fact, calling the new C mandate RDT is confusing. The two functions are distinct.
RECO should only require that the engine be cutoff by a radio signal. To encourage its
usage I think a Mulligan (a 30 seconds attempt) and operation by a safety officer would
be nice features. The issue of how to DT the model, particularly in the case folders is
really outside the scope of a RECO mandate. ///
[note Aram's posting came in before the clarification from Ian so there is no requirement for RECO as Aram calls it]
Marty Thompson
From: Shailor, William
I am shocked by the news of Marty's passing. The Free Flight community has lost a really great guy. I saw Marty fly at the NATS in the 70's but didn't get to meet him until the Taft Finals in 1980. A true gentleman and superb builder. He will be missed.
Bill Shailor
F1C Aussie style
Regarding F1C rule changes.
I have enjoyed seeing my fellow fliers excel in thier choice of F1C category, and have been inspired by there achievements. Particularly Roy Sommersby current F1C World Champion. Now to read so many negative comments regarding rule changes to this category saddens me. I take on board every perspective of readers comments, But I wont be adding F1C to my wish list during this time.
Matthew Hannaford.
I love the smell of silicon lube in the morning.
Roger Morrell